U.S. Attack On Syria Is Imminent Now

Posted on the 28 August 2013 by Jobsanger
With each passing day, a United States military attack on Syria becomes more probable. Secretary of Defense Chuck Hagel says the military is ready to go when called to do so. And White House Press Secretary Jay Carney (pictured at left) has attempted to give a legal justification for the impending attack. Carney told the media:
"Allowing the use of chemical weapons on a significant scale to take place without a response would present a significant challenge to or threat to the United States' national security."
Of course, that is ridiculous. Even if the Syrian government did use chemical weapons against the rebels (and that may well have happened), there is no reason to believe that poses any danger to the United States. In fact, it sounds a whole lot like the justifications the Bush administration gave for invading Iraq (claiming Saddam posed a threat to the United States).
Both claims were silly, but when a president (regardless of political party) wants to use military power against another nation, any excuse will do -- even if it seems to be a far-fetched excuse. And at this point, I doubt if there is any way to prevent President Obama from attacking Syria -- an attack that could come as early as this week. But if the attack comes, it will be without the support of a majority of the American people (as two separate polls have shown this week).
=====
ORCA calculation (ωB97M-V/def2-TZVPD) on a single C4H10BN molecule in a non-equilibrium geometry.

Each line ends with the Mulliken charge.
Atoms and positions in Å:
C -1.20 -0.52 1.45  -0.876
N -0.41 -0.54 0.23  -0.095
C -0.67 -1.85 -0.67  -0.895
B 0.59 0.36 -0.11  0.207
C 0.99 1.87 0.02  -0.673
C 1.47 1.06 -1.17  -0.635
H -1.03 -1.26 2.16  0.353
H -0.86 0.47 1.96  0.288
H -2.29 -0.54 1.21  0.285
H -1.65 -1.54 -1.17  0.290
H 0.25 -1.78 -1.14  0.364
H -0.79 -2.64 0.06  0.288
H 0.40 2.74 -0.11  0.293
H 1.81 1.94 0.71  0.276
H 2.52 1.09 -1.28  0.291
H 0.86 1.14 -2.12  0.240

Computed properties:
* F_max: 0.1032 Eh/bohr
* net charge: 0
* SMILES string: CN(C)B1CC1
* spin multiplicity: 1
* LUMO: 0.027 Eh
* E_HOMO: -8.6 eV


ORCA calculation (ωB97M-V with the def2-TZVPD basis set) on a single C2IN5 molecule in a non-equilibrium geometry.

XYZ file:
```
8
Properties=species:S:1:pos:R:3
C -0.83573 0.20150 -1.36202
C 0.15293 0.07940 -0.28785
N -1.53956 0.44064 -2.25074
=====
### Back to the page
Over at Bill Moyer's website, Andrew Bacevich (a professor of history and international relations at Boston University -- and a graduate of the U.S. Military Academy at West Point) has come up with three questions he believes the president should adequately answer before attacking Syria. I agree. This is the least we should expect of the president. Professor Bacevich's questions are:
== Data records from another source follow ==
____________
ORCA calculation (ωB97M-V/def2-TZVPD) on an isolated molecule of C3H7NO2 in a non-equilibrium geometry.

Element x y z (Å)
C -0.44736 -0.67876 -0.14526
C -0.97979 1.05478 -0.58072
N 0.61656 -0.58286 0.77741
C 1.92541 -0.40772 0.41209
O -1.56372 -1.24932 0.32674
O 2.30530 -0.29096 -0.72807
H -1.77212 -0.07443 0.12707
H 0.35047 -0.52830 1.75010
H -0.08971 -1.00935 -1.12305
H 2.60703 -0.40544 1.28116
H -1.08878 1.69539 0.29631
H -0.06256 1.33690 -1.09577
H -1.80073 1.14006 -1.29800

Values from the calculation:
* spin multiplicity: 1
* SMILES string: C[C@H](O)NC=O
* largest force on an atom: 4.0 eV/Å
* HOMO: -9.5 eV
* ΔE to the lowest compared entry with this formula, charge and spin: 3.862 eV
* gap between HOMO and LUMO: 10.31 eV

***

ORCA calculation (ωB97M-V/def2-TZVPD) on a cluster of 10 separate species, C58H138N8O13 in total in a non-equilibrium geometry.

Element x y z (Å)
C 0.62976 -3.55420 -2.33269
C 0.76649 -5.00223 -2.66507
O 0.16966 -5.95390 -2.31314
N 2.06712 -5.33455 -3.52765
H 2.60009 -4.54687 -3.90862
H 2.70909 -5.79358 -2.91151
C 1.74867 -6.40973 -4.58623
H 1.45826 -3.27686 -1.66626
H -0.26423 -3.30749 -1.75003
H 0.83436 -3.03863 -3.26715
H 1.25911 -7.18760 -3.97689
H 2.61637 -6.76975 -5.14562
H 1.05225 -5.97482 -5.31601
C 3.64934 4.14632 2.32834
C 4.81413 4.74124 1.62467
C 5.13253 3.99933 0.30696
C 5.26519 2.51268 0.45913
N 5.52339 1.88442 -0.90230
C 4.29028 1.72195 -1.71931
C 4.57612 0.68353 -2.73381
C 5.55574 -0.29764 -2.01038
C 5.94687 0.44388 -0.70523
C 6.62893 2.59331 -1.61233
H 2.62875 4.36710 1.85615
H 3.57261 4.64303 3.28608
H 3.81908 3.09487 2.55567
H 5.68396 4.72524 2.29351
H 4.63806 5.78848 1.39551
H 6.07319 4.47789 -0.04214
H 4.24117 4.21586 -0.26895
H 4.35040 2.07292 0.86117
H 6.15661 2.36437 1.09343
H 4.19514 2.72596 -2.14484
H 3.60125 1.33991 -0.97420
H 5.01050 1.07890 -3.63909
H 3.63934 0.14736 -2.90530
H 6.42821 -0.49872 -2.63845
H 5.02265 -1.27295 -1.81674
H 7.01605 0.47233 -0.48800
H 5.29118 0.06201 0.07873
H 7.40952 2.85869 -0.86942
H 6.27581 3.52545 -2.06922
H 6.87606 1.90904 -2.44539
C -0.45961 5.16231 0.09637
C 0.20157 6.52223 0.35740
C -0.62308 7.79104 -0.04860
C 0.11579 9.06829 0.47274
N -0.35561 10.37850 -0.12003
C -0.01668 10.46053 -1.61839
C 0.11541 11.96883 -1.93666
C 0.37643 12.67489 -0.54863
C 0.51246 11.51785 0.38967
C -1.77578 10.71124 0.26312
H 0.25160 4.37915 0.39448
H -0.78680 5.09194 -0.92762
H -1.34281 5.06263 0.76298
H 1.13276 6.54931 -0.21351
H 0.41939 6.61853 1.42520
H -1.64218 7.82562 0.37990
H -0.63851 7.73021 -1.13595
H 1.18407 9.00225 0.19464
H -0.10397 9.20438 1.55218
H -0.83806 10.02540 -2.18472
H 0.97125 9.94988 -1.75230
H -0.74151 12.43406 -2.41449
H 0.93746 12.16880 -2.62141
H -0.44694 13.32112 -0.19875
H 1.26529 13.29313 -0.61810
H 0.32197 11.63376 1.45425
H 1.54319 11.12079 0.39934
H -2.47691 9.99224 -0.13624
H -1.94888 11.72169 -0.08143
H -1.86979 10.64798 1.34200
C -5.21331 4.36453 -2.50875
C -5.78587 3.64154 -1.28065
C -4.74711 2.58243 -0.79937
C -5.19275 1.58908 0.30362
____________
First, why does this particular heinous act rise to the level of justifying a military response? More specifically, why did a similarly heinous act by the Egyptian army elicit from Washington only the mildest response? Just weeks ago, Egyptian security forces slaughtered hundreds of Egyptians whose “crime” was to protest a military coup that overthrew a legitimately elected president. Why the double standard? Second, once U.S. military action against Syria begins, when will it end? What is the political objective? Wrapping the Assad regime on the knuckles is unlikely to persuade it to change its ways. That regime is engaged in a fight for survival. So what exactly does the United States intend to achieve and how much is President Obama willing to spend in lives and treasure to get there? War is a risky business. Is the president willing to commit U.S. forces to what could well become another protracted and costly struggle? Third, what is the legal basis for military action? Neither Russia nor China is likely to agree to an attack on Syria, so authorization by the U.N. Security Council won’t be forthcoming. Will Obama ask Congress for the authority to act? Or will he, as so many of his recent predecessors have done, employ some dodge to circumvent the Constitution? With what justification?